Zambia’s new eye hospital a celebration of partnership

Categories: Hospitals, Our Work, Zambia
This army marching band leads the way from the Zambian Ministry of Health to University Teaching Hospital. The march was part of the opening celebrations for the new centre for eye health.

We certainly celebrated World Sight Day with style last week… by opening a beautiful new centre for eye health at University Teaching Hospital (UTH) in Lusaka, the capital city of Zambia.

“My government wishes to express its sincere gratitude to Operation Eyesight, who put in a huge capital-intensive investment to construct this centre,” Zambia’s Minister of Health, Hon. Dr. Joseph Kasonde, told a crowd of supporters at the opening event. He added, “This eye centre of excellence will certainly raise the profile of eye health services delivery at UTH and in the country as a whole.”

The original UTH eye clinic was a small and dilapidated heritage building, which needed almost total reconstruction to ensure it met clinical quality standards. Today’s bright and beautiful Ophthalmic Centre will offer ophthalmology specialities for treating pediatrics, vitreo-retinal, anterior segment, and glaucoma, as well as provide community eye health and research. It will train professionals (including ophthalmologists) in various eye health areas, and will provide a research and resource centre for all eye health services in the country.

Dr. Boateng Wiafe, Operation Eyesight’s Regional Director for Africa, at the unveiling of a plaque to celebrate the opening of the new eye health centre. The plaque reads “The Ophthalmology Centre was officially commissioned on 27th September 2012 by Honorable Dr. Joeseph Kasonde, Member of Parliament, Minister of Health, Government of Zambia.”

Not only will this facility increase staff training, improve patient screening and treatment, and realize improved surgical outcomes and productivity, there is also another reason to celebrate its grand opening: it’s a wonderful example of what’s possible when we collaborate with generous donors and governments.

The Ophthalmic Centre is the culmination of eight years of hard work and strong partnerships between Operation Eyesight, Nava Bharat Ventures Limited of Hyderabad, India, the Canadian International Development Agency, the Government of Zambia’s Ministry of Health, and University Teaching Hospital. As our Regional Director for Africa, Dr. Boateng Wiafe, told me, “This was a classic example of true partnership. Every partner brought something to the table to get the work done.”

All of us at Operation Eyesight congratulate and acknowledge the partners and donors who made the construction of the new Ophthalmic Centre possible. We were proud to have been part of this project.

The Ophthalmic Centre will initially serve about 1.2 million residents in Lusaka and surrounding areas.

• Between two parts of the entry: records of crystals:
┌──
# ZnInSnAs3
Simulated XRD peak list, CuKα. Input: DFT lattice parameters and positions (PBE).
No peak broadening, texture or thermal motion is included.

The 10 most intense peaks (2θ from 10° to 90°), in order of rising 2θ:
Position (°2θ)	I/Imax	h k l
25.58	100	1 1 -1
42.35	25	0 2 0
42.41	49	5 1 -2
50.13	31	7 1 -1
50.25	15	6 0 -3
61.43	8	6 2 0
67.75	15	1 3 -1
77.43	8	11 1 -2
77.58	12	5 3 -2
83.16	9	7 3 -1

Atomic structure:
a = 14.163 Å, b = 4.264 Å, c = 6.019 Å
α = 90.00°, β = 115.15°, γ = 90.00°
Space group Cm (No. 8)
Symmetry-distinct sites (fractional):
Zn1 0.000 0.000 0.000 (multiplicity 2)
In1 0.338 0.000 0.325 (multiplicity 2)
Sn1 0.165 0.500 0.644 (multiplicity 2)
As1 0.001 0.500 0.214 (multiplicity 2)
As2 0.159 0.000 0.910 (multiplicity 2)
As3 0.343 0.500 0.597 (multiplicity 2)

***

# Hf2Al3Cu
Simulated XRD peak list, CuKα. Input: DFT lattice parameters and positions (PBE).
No peak broadening, texture or thermal motion is included.

The 10 most intense peaks (2θ from 10° to 90°), in order of rising 2θ:
Position (°2θ)	I/Imax	h k l
20.73	50	1 0 1
21.39	36	0 0 3
34.03	100	1 1 0
34.87	58	1 0 4
40.18	28	0 2 1
40.55	93	1 1 3
41.27	47	0 1 5
61.45	23	2 1 4
65.33	22	3 0 3
65.85	23	1 2 5

Atomic structure:
a = 5.2688 Å, b = 5.2688 Å, c = 12.4643 Å
α = 90.00°, β = 90.00°, γ = 120.00°
Space group R-3m (No. 166, hexagonal axes)
Symmetry-distinct sites (fractional):
Hf1 0.0000 0.0000 0.1243 (multiplicity 6)
Al1 0.0000 0.5000 0.0000 (multiplicity 9)
Cu1 0.0000 0.0000 0.5000 (multiplicity 3)

***

# Pu5Ir4
Simulated XRD peak list, CuKα. Input: DFT lattice parameters and positions (PBE).
No peak broadening, texture or thermal motion is included.

The 10 most intense peaks (2θ from 10° to 90°), in order of rising 2θ:
Position (°2θ)	I/Imax	h k l
33.17	100	1 3 2
34.54	59	2 3 1
34.83	35	0 4 2
35.48	19	2 0 2
36.40	20	1 5 1
37.30	19	1 4 2
38.20	28	0 6 0
38.55	27	2 4 1
38.77	33	1 1 3
41.41	52	3 0 1

Atomic structure:
a = 6.835 Å, b = 14.137 Å, c = 7.525 Å
α = 90.00°, β = 90.00°, γ = 90.00°
Space group Pnma (No. 62)
Symmetry-distinct sites (fractional):
Pu1 0.001 0.095 0.170 (multiplicity 8)
Pu2 0.145 0.618 0.335 (multiplicity 8)
Pu3 0.199 0.250 0.471 (multiplicity 4)
Ir1 0.042 0.250 0.871 (multiplicity 4)
Ir2 0.170 0.750 0.631 (multiplicity 4)
Ir3 0.196 0.033 0.542 (multiplicity 8)

***

# Nd2CoSb4
Simulated XRD peak list, CuKα. Input: DFT lattice parameters and positions (PBE).
No peak broadening, texture or thermal motion is included.

The 10 most intense peaks (2θ from 10° to 90°), in order of rising 2θ:
Position (°2θ)	I/Imax	h k l
22.24	17	1 0 1
27.47	24	1 0 2
27.73	21	0 0 3
30.24	61	1 1 1
34.35	100	1 1 2
34.57	67	1 0 3
41.12	64	2 0 0
54.77	35	2 1 3
59.55	21	2 2 0
70.59	24	3 1 2

Atomic structure:
a = 4.391 Å, b = 4.391 Å, c = 9.650 Å
α = 90.00°, β = 90.00°, γ = 90.00°
Space group P-4m2 (No. 115)
Symmetry-distinct sites (fractional):
Nd1 0.000 0.500 0.238 (multiplicity 2)
Co1 0.000 0.000 0.000 (multiplicity 1)
Sb1 0.000 0.000 0.500 (multiplicity 1)
└──

We especially would like to thank Delphin Kinkese, our Zambian country manager, and Dr. Grace Mutati, chief ophthalmologist of University Teaching Hospital, for overseeing the project and ensuring the opening was a huge success.
I know the centre will provide Zambians a great resource within the full continuum of eye care services for many years to come!

Operation Eyesight has been working to prevent avoidable blindness in Zambia since 1985, and has been supporting University Teaching Hospital since 2005. Where else do we have hospital programs? Find out here.